-- Contents --
********
DFT (GGA-PBE) results for DyHoGaFe after structural relaxation.

Lattice parameters (Å, degrees): 4.923 4.923 4.923 60.00 60.00 60.00
Atoms (fractional coordinates):
Dy  0.000  0.000  0.000
Ho  0.500  0.500  0.500
Ga  0.250  0.250  0.250
Fe  0.750  0.750  0.750

* formation energy: -0.188 eV per atom
* electronic total energy: -5.36 eV per atom
* space group: No. 216
********

-- Activity --
Find "-0.188 eV" and "electronic total" in the entries further up, and type out these two lines and those between.

-- Written answer --
* formation energy: -0.188 eV per atom
* electronic total energy: -5.36 eV per atom